Brief:
Next, start at the top of the listing below and give back each line, ending with the one that has "0.6667 0.0485".

Contents:
********
(1)
Below is a geometry-optimized SmCl2 structure, with properties calculated at the GGA-PBE level.

Computed properties:
E_form   -2.29 eV per atom
Total magnetic moment   1.28 Bohr magnetons per cell
E   -4.6848 eV/atom

Unit cell a=10.276 b=3.532 c=8.636 alpha=90.00 beta=90.00 gamma=90.00
Space group Pnma (No. 62)
Inequivalent atoms, fractional coordinates:
Sm: 0.176 0.250 0.118 [4 per cell]
Cl: 0.043 0.250 0.830 [4 per cell]
Cl: 0.164 0.250 0.444 [4 per cell]

---

(2)
Below is a geometry-optimized SnCl structure, with properties calculated at the GGA-PBE level.

Computed properties:
E_form   -0.81 eV per atom
Total magnetic moment   0.00 Bohr magnetons per cell
E   -3.4329 eV/atom

Unit cell a=3.4975 b=3.4975 c=10.0622 alpha=90.00 beta=90.00 gamma=120.00
Space group P6_3mc (No. 186)
Inequivalent atoms, fractional coordinates:
Sn: 0.3333 0.6667 0.0000 [2 per cell]
Cl: 0.3333 0.6667 0.7340 [2 per cell]

---

(3)
Below is a geometry-optimized Sn2W3Cl14 structure, with properties calculated at the GGA-PBE level.

Computed properties:
E_form   -1.33 eV per atom
E   -4.7097 eV/atom

Unit cell a=9.7294 b=9.7294 c=12.5254 alpha=90.00 beta=90.00 gamma=120.00
Space group P6_3 (No. 173)
Inequivalent atoms, fractional coordinates:
Sn: 0.0000 0.0000 0.0000 [2 per cell]
Sn: 0.3333 0.6667 0.0485 [2 per cell]
W: 0.1466 0.5895 0.5835 [6 per cell]
Cl: 0.0000 0.0000 0.3072 [2 per cell]
Cl: 0.0148 0.6504 0.9843 [6 per cell]
Cl: 0.0238 0.6999 0.4719 [6 per cell]
Cl: 0.0992 0.5047 0.1937 [6 per cell]
Cl: 0.2024 0.4438 0.7166 [6 per cell]
Cl: 0.3333 0.6667 0.4370 [2 per cell]
********

Here it is:
(1)
Below is a geometry-optimized SmCl2 structure, with properties calculated at the GGA-PBE level.

Computed properties:
E_form   -2.29 eV per atom
Total magnetic moment   1.28 Bohr magnetons per cell
E   -4.6848 eV/atom

Unit cell a=10.276 b=3.532 c=8.636 alpha=90.00 beta=90.00 gamma=90.00
Space group Pnma (No. 62)
Inequivalent atoms, fractional coordinates:
Sm: 0.176 0.250 0.118 [4 per cell]
Cl: 0.043 0.250 0.830 [4 per cell]
Cl: 0.164 0.250 0.444 [4 per cell]

---

(2)
Below is a geometry-optimized SnCl structure, with properties calculated at the GGA-PBE level.

Computed properties:
E_form   -0.81 eV per atom
Total magnetic moment   0.00 Bohr magnetons per cell
E   -3.4329 eV/atom

Unit cell a=3.4975 b=3.4975 c=10.0622 alpha=90.00 beta=90.00 gamma=120.00
Space group P6_3mc (No. 186)
Inequivalent atoms, fractional coordinates:
Sn: 0.3333 0.6667 0.0000 [2 per cell]
Cl: 0.3333 0.6667 0.7340 [2 per cell]

---

(3)
Below is a geometry-optimized Sn2W3Cl14 structure, with properties calculated at the GGA-PBE level.

Computed properties:
E_form   -1.33 eV per atom
E   -4.7097 eV/atom

Unit cell a=9.7294 b=9.7294 c=12.5254 alpha=90.00 beta=90.00 gamma=120.00
Space group P6_3 (No. 173)
Inequivalent atoms, fractional coordinates:
Sn: 0.0000 0.0000 0.0000 [2 per cell]
Sn: 0.3333 0.6667 0.0485 [2 per cell]